**What to do**
It remains to find the line further down that holds "(0.8302, 0.6596,", then reproduce that line and all lines after it there.

**Excerpt**
/*
First-principles (PBE-GGA) data for a relaxed structure of RbLiPrI5, as listed in Alexandria via LeMat-Bulk.

Calculated values
Its space group is No. 15. The density of states at the Fermi level comes out at 0.0000 states/eV/atom. For the formation energy from raw total energies, the calculation gives -1060.4 kJ/mol of formula units.

Cell and atoms, written as POSCAR:
```
RbLiPrI5
1.0
8.671 -0.015 -0.096
-2.546 8.289 -0.096
-2.650 -3.580 10.886
Pr I Rb Li
2 10 2 2
Direct
0.000 0.000 0.500
0.000 0.000 0.000
0.618 0.756 0.933
0.914 0.318 0.114
0.086 0.682 0.886
0.085 0.915 0.250
0.382 0.244 0.067
0.915 0.085 0.750
0.756 0.618 0.433
0.318 0.914 0.614
0.682 0.086 0.386
0.244 0.382 0.567
0.645 0.355 0.750
0.355 0.645 0.250
0.309 0.691 0.750
0.691 0.309 0.250
```


# BaTbCr2O8

A relaxed BaTbCr2O8 crystal (PBE+U, Alexandria via LeMat-Bulk).

**Total moment**: 1.00 μB per formula unit
**DFT total energy**: -7.19 eV/atom

Cell lengths 5.7108, 5.7108, 7.6633 Å; angles 90.00, 90.00, 120.00 degrees
Element x y z (fractional)
O (0.8302, 0.6596, 0.3027)
O (0.6596, 0.8294, 0.6973)
O (0.3333, 0.6667, 0.9846)
O (0.1706, 0.8302, 0.6973)
O (0.3404, 0.1706, 0.3027)
O (0.8294, 0.1698, 0.3027)
O (0.6667, 0.3333, 0.0154)
O (0.1698, 0.3404, 0.6973)
Cr (0.3333, 0.6667, 0.7687)
Cr (0.6667, 0.3333, 0.2313)
Tb (0.0000, 0.0000, 0.5000)
Ba (0.0000, 0.0000, 0.0000)


# BaCr2TcO8

A relaxed BaCr2TcO8 crystal (PBE+U, Alexandria via LeMat-Bulk).

**Total moment**: 5.00 μB per formula unit
**DFT total energy**: -7.21 eV/atom

Cell lengths 5.0586, 5.0577, 7.1595 Å; angles 77.76, 77.75, 73.94 degrees
Element x y z (fractional)
O (0.3466, 0.3480, 0.5233)
O (0.2316, 0.2330, 0.9281)
O (0.2263, 0.7584, 0.1979)
O (0.2427, 0.7746, 0.8017)
O (0.7737, 0.2416, 0.8021)
O (0.7684, 0.7670, 0.0719)
O (0.6534, 0.6520, 0.4767)
O (0.7573, 0.2254, 0.1983)
Ba (0.0000, 0.0000, 0.5000)
Cr (0.4479, 0.4482, 0.7215)
Cr (0.5521, 0.5518, 0.2785)
Tc (0.0000, 0.0000, 0.0000)


# BaCrTcO6

A relaxed BaCrTcO6 crystal (PBE+U, Alexandria via LeMat-Bulk).

**Total moment**: 3.00 μB per formula unit
**DFT total energy**: -7.38 eV/atom

Cell lengths 5.2582, 5.2593, 5.7027 Å; angles 90.02, 90.05, 60.01 degrees
Element x y z (fractional)
O (0.3864, 0.6008, 0.3093)
O (0.6011, 0.3865, 0.6906)
O (0.6005, 0.0126, 0.3092)
O (0.3868, 0.0126, 0.6908)
O (0.0128, 0.6008, 0.6907)
O (0.0123, 0.3866, 0.3094)
Tc (0.3333, 0.3333, 0.5000)
Cr (0.6666, 0.6667, 0.5000)
Ba (0.0000, 0.0000, 0.0000)


# Ba2CrTc3O12

A relaxed Ba2CrTc3O12 crystal (PBE+U, Alexandria via LeMat-Bulk).

**Total moment**: 6.82 μB per formula unit
**DFT total energy**: -7.40 eV/atom

Cell lengths 7.1431, 7.1431, 7.1431 Å; angles 62.02, 62.02, 62.02 degrees
Element x y z (fractional)
O (0.9417, 0.3158, 0.3158)
O (0.0583, 0.6842, 0.6842)
O (0.9274, 0.9274, 0.3256)
O (0.3158, 0.9417, 0.3158)
O (0.0726, 0.6744, 0.0726)
O (0.0726, 0.0726, 0.6744)
O (0.9274, 0.3256, 0.9274)
O (0.6842, 0.0583, 0.6842)
O (0.3256, 0.9274, 0.9274)
O (0.6744, 0.0726, 0.0726)
O (0.6842, 0.6842, 0.0583)
O (0.3158, 0.3158, 0.9417)
Ba (0.3336, 0.3336, 0.3336)
Ba (0.6664, 0.6664, 0.6664)
Tc (0.0000, 0.0000, 0.5000)
Tc (0.0000, 0.5000, 0.0000)
Tc (0.5000, 0.0000, 0.0000)
Cr (0.0000, 0.0000, 0.0000)


# Ba3CrTe2O9

A relaxed Ba3CrTe2O9 crystal (PBE+U, Alexandria via LeMat-Bulk).

**Total moment**: 3.54 μB per formula unit
**DFT total energy**: -6.23 eV/atom

Cell lengths 5.9387, 5.9387, 7.2960 Å; angles 90.00, 90.00, 120.00 degrees
Element x y z (fractional)
Te (0.3333, 0.6667, 0.1798)
Te (0.6667, 0.3333, 0.8202)
O (0.1675, 0.3349, 0.3366)
O (0.5000, 0.5000, 0.0000)
O (0.6651, 0.8325, 0.3366)
O (0.1675, 0.8325, 0.3366)
O (0.8325, 0.6651, 0.6634)
O (0.0000, 0.5000, 0.0000)
O (0.5000, 0.0000, 0.0000)
O (0.8325, 0.1675, 0.6634)
O (0.3349, 0.1675, 0.6634)
Ba (0.6667, 0.3333, 0.3342)
Ba (0.0000, 0.0000, 0.0000)
Ba (0.3333, 0.6667, 0.6658)
Cr (0.0000, 0.0000, 0.5000)


# Ba2CrTeO6

A relaxed Ba2CrTeO6 crystal (PBE+U, Alexandria via LeMat-Bulk).
*/

**Done**
O (0.8302, 0.6596, 0.3027)
O (0.6596, 0.8294, 0.6973)
O (0.3333, 0.6667, 0.9846)
O (0.1706, 0.8302, 0.6973)
O (0.3404, 0.1706, 0.3027)
O (0.8294, 0.1698, 0.3027)
O (0.6667, 0.3333, 0.0154)
O (0.1698, 0.3404, 0.6973)
Cr (0.3333, 0.6667, 0.7687)
Cr (0.6667, 0.3333, 0.2313)
Tb (0.0000, 0.0000, 0.5000)
Ba (0.0000, 0.0000, 0.0000)


# BaCr2TcO8

A relaxed BaCr2TcO8 crystal (PBE+U, Alexandria via LeMat-Bulk).

**Total moment**: 5.00 μB per formula unit
**DFT total energy**: -7.21 eV/atom

Cell lengths 5.0586, 5.0577, 7.1595 Å; angles 77.76, 77.75, 73.94 degrees
Element x y z (fractional)
O (0.3466, 0.3480, 0.5233)
O (0.2316, 0.2330, 0.9281)
O (0.2263, 0.7584, 0.1979)
O (0.2427, 0.7746, 0.8017)
O (0.7737, 0.2416, 0.8021)
O (0.7684, 0.7670, 0.0719)
O (0.6534, 0.6520, 0.4767)
O (0.7573, 0.2254, 0.1983)
Ba (0.0000, 0.0000, 0.5000)
Cr (0.4479, 0.4482, 0.7215)
Cr (0.5521, 0.5518, 0.2785)
Tc (0.0000, 0.0000, 0.0000)


# BaCrTcO6

A relaxed BaCrTcO6 crystal (PBE+U, Alexandria via LeMat-Bulk).

**Total moment**: 3.00 μB per formula unit
**DFT total energy**: -7.38 eV/atom

Cell lengths 5.2582, 5.2593, 5.7027 Å; angles 90.02, 90.05, 60.01 degrees
Element x y z (fractional)
O (0.3864, 0.6008, 0.3093)
O (0.6011, 0.3865, 0.6906)
O (0.6005, 0.0126, 0.3092)
O (0.3868, 0.0126, 0.6908)
O (0.0128, 0.6008, 0.6907)
O (0.0123, 0.3866, 0.3094)
Tc (0.3333, 0.3333, 0.5000)
Cr (0.6666, 0.6667, 0.5000)
Ba (0.0000, 0.0000, 0.0000)


# Ba2CrTc3O12

A relaxed Ba2CrTc3O12 crystal (PBE+U, Alexandria via LeMat-Bulk).

**Total moment**: 6.82 μB per formula unit
**DFT total energy**: -7.40 eV/atom

Cell lengths 7.1431, 7.1431, 7.1431 Å; angles 62.02, 62.02, 62.02 degrees
Element x y z (fractional)
O (0.9417, 0.3158, 0.3158)
O (0.0583, 0.6842, 0.6842)
O (0.9274, 0.9274, 0.3256)
O (0.3158, 0.9417, 0.3158)
O (0.0726, 0.6744, 0.0726)
O (0.0726, 0.0726, 0.6744)
O (0.9274, 0.3256, 0.9274)
O (0.6842, 0.0583, 0.6842)
O (0.3256, 0.9274, 0.9274)
O (0.6744, 0.0726, 0.0726)
O (0.6842, 0.6842, 0.0583)
O (0.3158, 0.3158, 0.9417)
Ba (0.3336, 0.3336, 0.3336)
Ba (0.6664, 0.6664, 0.6664)
Tc (0.0000, 0.0000, 0.5000)
Tc (0.0000, 0.5000, 0.0000)
Tc (0.5000, 0.0000, 0.0000)
Cr (0.0000, 0.0000, 0.0000)


# Ba3CrTe2O9

A relaxed Ba3CrTe2O9 crystal (PBE+U, Alexandria via LeMat-Bulk).

**Total moment**: 3.54 μB per formula unit
**DFT total energy**: -6.23 eV/atom

Cell lengths 5.9387, 5.9387, 7.2960 Å; angles 90.00, 90.00, 120.00 degrees
Element x y z (fractional)
Te (0.3333, 0.6667, 0.1798)
Te (0.6667, 0.3333, 0.8202)
O (0.1675, 0.3349, 0.3366)
O (0.5000, 0.5000, 0.0000)
O (0.6651, 0.8325, 0.3366)
O (0.1675, 0.8325, 0.3366)
O (0.8325, 0.6651, 0.6634)
O (0.0000, 0.5000, 0.0000)
O (0.5000, 0.0000, 0.0000)
O (0.8325, 0.1675, 0.6634)
O (0.3349, 0.1675, 0.6634)
Ba (0.6667, 0.3333, 0.3342)
Ba (0.0000, 0.0000, 0.0000)
Ba (0.3333, 0.6667, 0.6658)
Cr (0.0000, 0.0000, 0.5000)


# Ba2CrTeO6

A relaxed Ba2CrTeO6 crystal (PBE+U, Alexandria via LeMat-Bulk).